********
# C10H12NO

A gas-phase ion, C10H12NO (charge +1) in a non-equilibrium geometry (ωB97M-V/def2-TZVPD, the Open Molecules 2025 dataset).

The value obtained for the total energy is -14091.766 eV. Its charge is +1. Its LUMO energy is -4.999 eV. The calculation puts the energy relative to the best compared isomer or geometry (same formula, charge and spin) at 321.22 kJ/mol. As for the spin multiplicity: 1. The HOMO-LUMO gap is 8.48 eV.

Last columns: bonded neighbours and bond lengths (Å).
Atoms and positions in Å:
1 C -1.930 -1.336 0.121  C3 1.390, C12 1.392, H17 1.033
2 H 2.225 -2.638 -0.558  C9 1.072
3 C -2.988 -0.450 -0.046  C1 1.390, C6 1.404, H24 0.999
4 N 2.564 -0.825 -0.284  C9 1.445, H19 1.015, O23 1.411
5 H 1.290 3.068 -0.542  C16 1.022
6 C -2.725 0.910 -0.275  C3 1.404, H18 1.075, C22 1.379
7 H 0.451 3.060 0.798  C16 1.024
8 H 0.899 -1.795 -1.438  C9 1.050
9 C 1.555 -1.803 -0.619  H2 1.072, N4 1.445, H8 1.050, C21 1.576
10 C 1.019 1.065 0.034  C15 1.477, C16 1.548, O23 1.285
11 H 1.091 -1.217 1.377  C21 1.004
12 C -0.618 -0.884 0.224  C1 1.392, C15 1.404, C21 1.539
13 H 2.076 2.602 0.902  C16 1.015
14 H -1.326 2.321 -0.426  C22 1.015
15 C -0.335 0.474 0.008  C10 1.477, C12 1.404, C22 1.396
16 C 1.227 2.568 0.347  H5 1.022, H7 1.024, C10 1.548, H13 1.015
17 H -1.996 -2.342 0.347  C1 1.033
18 H -3.641 1.451 -0.427  C6 1.075
19 H 3.421 -0.901 -0.821  N4 1.015
20 H 0.313 -2.734 1.040  C21 1.142
21 C 0.614 -1.707 0.642  C9 1.576, H11 1.004, C12 1.539, H20 1.142
22 C -1.411 1.327 -0.240  C6 1.379, H14 1.015, C15 1.396
23 O 2.172 0.522 -0.125  N4 1.411, C10 1.285
24 H -3.946 -0.736 -0.039  C3 0.999

----------

Record 1
{"formula": "C5H10ClN4", "method": "the ωB97M-V functional and the def2-TZVPD basis", "lumo_energy_ev": -3.7, "homo_energy_ev": -14.20, "molar_mass_g_mol": 161.62, "total_charge": 1, "spin_multiplicity": 1, "gap_ev": 10.50, "species": ["H", "N", "C", "Cl", "N", "C", "N", "C", "N", "C", "C", "H", "H", "H", "H", "H", "H", "H", "H", "H"], "xyz": [[1.08560, -1.39333, 1.11749], [1.08266, -0.51083, 0.74803], [2.09012, -0.05400, 0.10063], [3.66840, -0.72898, 0.16943], [1.90349, 0.97422, -0.82882], [0.74359, 1.62659, -0.98372], [-0.34203, 1.43640, -0.31795], [-0.68131, 0.52373, 0.59522], [-0.84518, 0.95244, 1.81419], [-1.43528, -0.73599, 0.22097], [-1.25043, -1.49093, -1.09823], [2.70745, 1.22332, -1.39762], [0.71222, 2.41368, -1.76401], [-0.60804, 1.97238, 2.07707], [-1.37958, 0.42914, 2.43071], [-1.56823, -1.22286, 1.26157], [-2.48060, -0.45890, 0.00915], [-1.71789, -0.97521, -1.86217], [-1.44525, -2.49756, -0.92066], [-0.23969, -1.48331, -1.37129]], "atomic_forces_ev_per_a": [[0.7, -2.5, 1.7], [1.4, 3.2, -2.7], [-1.5, -1.0, 0.2], [-0.1, 0.3, -0.2], [1.9, -0.9, 0.8], [-2.6, 0.7, 0.2], [1.2, 0.8, -1.9], [-0.2, -1.1, -0.9], [0.9, 3.9, 0.8], [-2.4, 0.4, 1.5], [2.2, 0.8, 2.4], [-0.3, 0.1, 0.2], [0.3, -0.6, 0.6], [-0.6, -2.6, -0.7], [-1.0, -0.9, 1.4], [0.6, -0.3, -2.0], [0.0, 0.8, 0.9], [-1.5, 0.4, -1.5], [-1.1, -1.7, -0.3], [1.9, -0.1, -0.4]], "lowdin_charge": [0.081, 0.146, -0.739, 0.790, 0.073, -0.112, 0.161, -0.459, 0.188, -0.159, -0.047, 0.151, 0.161, 0.195, 0.095, 0.151, 0.131, 0.068, 0.075, 0.049]}



Record 2
********

Give back everything further above with every line break kept, please.

# C10H12NO

A gas-phase ion, C10H12NO (charge +1) in a non-equilibrium geometry (ωB97M-V/def2-TZVPD, the Open Molecules 2025 dataset).

The value obtained for the total energy is -14091.766 eV. Its charge is +1. Its LUMO energy is -4.999 eV. The calculation puts the energy relative to the best compared isomer or geometry (same formula, charge and spin) at 321.22 kJ/mol. As for the spin multiplicity: 1. The HOMO-LUMO gap is 8.48 eV.

Last columns: bonded neighbours and bond lengths (Å).
Atoms and positions in Å:
1 C -1.930 -1.336 0.121  C3 1.390, C12 1.392, H17 1.033
2 H 2.225 -2.638 -0.558  C9 1.072
3 C -2.988 -0.450 -0.046  C1 1.390, C6 1.404, H24 0.999
4 N 2.564 -0.825 -0.284  C9 1.445, H19 1.015, O23 1.411
5 H 1.290 3.068 -0.542  C16 1.022
6 C -2.725 0.910 -0.275  C3 1.404, H18 1.075, C22 1.379
7 H 0.451 3.060 0.798  C16 1.024
8 H 0.899 -1.795 -1.438  C9 1.050
9 C 1.555 -1.803 -0.619  H2 1.072, N4 1.445, H8 1.050, C21 1.576
10 C 1.019 1.065 0.034  C15 1.477, C16 1.548, O23 1.285
11 H 1.091 -1.217 1.377  C21 1.004
12 C -0.618 -0.884 0.224  C1 1.392, C15 1.404, C21 1.539
13 H 2.076 2.602 0.902  C16 1.015
14 H -1.326 2.321 -0.426  C22 1.015
15 C -0.335 0.474 0.008  C10 1.477, C12 1.404, C22 1.396
16 C 1.227 2.568 0.347  H5 1.022, H7 1.024, C10 1.548, H13 1.015
17 H -1.996 -2.342 0.347  C1 1.033
18 H -3.641 1.451 -0.427  C6 1.075
19 H 3.421 -0.901 -0.821  N4 1.015
20 H 0.313 -2.734 1.040  C21 1.142
21 C 0.614 -1.707 0.642  C9 1.576, H11 1.004, C12 1.539, H20 1.142
22 C -1.411 1.327 -0.240  C6 1.379, H14 1.015, C15 1.396
23 O 2.172 0.522 -0.125  N4 1.411, C10 1.285
24 H -3.946 -0.736 -0.039  C3 0.999

----------

Record 1
{"formula": "C5H10ClN4", "method": "the ωB97M-V functional and the def2-TZVPD basis", "lumo_energy_ev": -3.7, "homo_energy_ev": -14.20, "molar_mass_g_mol": 161.62, "total_charge": 1, "spin_multiplicity": 1, "gap_ev": 10.50, "species": ["H", "N", "C", "Cl", "N", "C", "N", "C", "N", "C", "C", "H", "H", "H", "H", "H", "H", "H", "H", "H"], "xyz": [[1.08560, -1.39333, 1.11749], [1.08266, -0.51083, 0.74803], [2.09012, -0.05400, 0.10063], [3.66840, -0.72898, 0.16943], [1.90349, 0.97422, -0.82882], [0.74359, 1.62659, -0.98372], [-0.34203, 1.43640, -0.31795], [-0.68131, 0.52373, 0.59522], [-0.84518, 0.95244, 1.81419], [-1.43528, -0.73599, 0.22097], [-1.25043, -1.49093, -1.09823], [2.70745, 1.22332, -1.39762], [0.71222, 2.41368, -1.76401], [-0.60804, 1.97238, 2.07707], [-1.37958, 0.42914, 2.43071], [-1.56823, -1.22286, 1.26157], [-2.48060, -0.45890, 0.00915], [-1.71789, -0.97521, -1.86217], [-1.44525, -2.49756, -0.92066], [-0.23969, -1.48331, -1.37129]], "atomic_forces_ev_per_a": [[0.7, -2.5, 1.7], [1.4, 3.2, -2.7], [-1.5, -1.0, 0.2], [-0.1, 0.3, -0.2], [1.9, -0.9, 0.8], [-2.6, 0.7, 0.2], [1.2, 0.8, -1.9], [-0.2, -1.1, -0.9], [0.9, 3.9, 0.8], [-2.4, 0.4, 1.5], [2.2, 0.8, 2.4], [-0.3, 0.1, 0.2], [0.3, -0.6, 0.6], [-0.6, -2.6, -0.7], [-1.0, -0.9, 1.4], [0.6, -0.3, -2.0], [0.0, 0.8, 0.9], [-1.5, 0.4, -1.5], [-1.1, -1.7, -0.3], [1.9, -0.1, -0.4]], "lowdin_charge": [0.081, 0.146, -0.739, 0.790, 0.073, -0.112, 0.161, -0.459, 0.188, -0.159, -0.047, 0.151, 0.161, 0.195, 0.095, 0.151, 0.131, 0.068, 0.075, 0.049]}



Record 2